(Exercise)
Echo every line underneath that contains the word "ion", please.
(Data)
+++
ORCA calculation (ωB97M-V/def2-TZVPD) on a gas-phase ion, C9H12NO3S (charge +1) at a distorted geometry.

For the LUMO energy (alpha / beta), the calculation gives -5.304 / -5.305 eV. As for the net charge: +1. The value obtained for the calculated total energy is -27980.9836 eV. Its SMILES is CC1(C)[C@H]2C=C[C@H](C=C2)O[S@]1(=O)=[N+]=O. Its HOMO energy (alpha / beta) is -13.337 / -13.337 eV. The value obtained for the gap between HOMO and LUMO (alpha / beta) is 8.03 / 8.03 eV.

The geometry in XYZ format:
```
26
Properties=species:S:1:pos:R:3:forces:R:3
S 1.590 -1.343 -0.208 -2.77 2.67 -1.70
O 2.462 -3.045 -1.889 -0.72 -0.24 0.74
O 2.648 -1.547 0.688 2.34 -0.11 1.85
O 2.054 -0.444 -1.441 1.19 -1.26 1.00
N 1.809 -3.135 -0.952 0.61 -0.94 -1.48
C -0.061 -0.312 0.874 0.12 -3.14 -1.83
C 0.918 1.611 -1.645 -0.90 -0.80 0.46
C 0.039 1.688 -0.639 0.55 -0.26 -0.25
C -0.180 -0.523 -2.471 2.21 2.22 0.96
C -0.781 -1.646 1.206 1.05 0.54 1.74
C -0.730 0.455 -0.244 1.54 -0.33 -1.82
C -1.063 -0.368 -1.460 4.29 0.31 -1.62
C 0.753 0.371 1.893 5.73 -1.70 -2.39
C 1.152 0.276 -2.333 -3.35 -0.04 4.01
H -0.279 2.455 0.060 0.92 0.86 -0.70
H 0.120 0.854 2.515 -1.76 1.80 2.41
H -1.129 -2.236 0.354 0.59 0.17 -0.12
H 1.526 1.089 1.333 -1.99 -1.07 1.40
H -1.884 -0.907 -1.603 -3.84 -1.93 0.24
H 1.588 2.287 -2.098 0.23 1.68 0.33
H -1.624 0.839 0.097 -2.27 0.50 1.33
H -0.057 -2.252 1.910 -1.96 0.99 -1.17
H 1.515 -0.372 2.441 -2.16 1.48 -0.87
H -1.738 -1.320 1.657 0.49 -0.45 0.59
H -0.103 -1.020 -3.415 -1.42 -0.82 -0.20
H 1.760 0.468 -3.121 1.30 -0.12 -2.91
```
Forces are in eV/Å.



ORCA calculation (ωB97M-V/def2-TZVPD) on C9H12NOPS in the gas phase at a distorted geometry.

For the LUMO energy, the calculation gives 0.471 eV. As for the net charge: 0. The value obtained for the calculated total energy is -33188.0600 eV. Its SMILES is CC[P@@](=O)(c1cccs1)[C@H](C)C#N. Its HOMO energy is -9.572 eV. The value obtained for the gap between HOMO and LUMO is 10.04 eV.

The geometry in XYZ format:
```
25
Properties=species:S:1:pos:R:3:forces:R:3
S -1.699 0.530 -2.040 1.07 0.50 -0.58
P -0.677 0.033 0.826 0.97 -0.53 -1.99
O -2.108 0.145 1.161 0.08 0.09 -0.11
N -0.685 -2.314 3.362 -0.37 -0.26 0.81
C -0.732 -2.622 -0.068 -0.76 2.03 -2.07
C -0.304 0.273 -0.998 -2.82 0.69 1.20
C 0.525 1.060 1.698 -3.06 2.24 -0.52
C -0.023 -1.746 0.971 2.76 1.05 -1.38
C 0.826 0.404 -1.690 1.57 -1.22 -0.60
C -0.641 0.779 -3.411 0.42 0.23 0.20
C 0.422 2.575 1.467 -3.06 2.56 1.87
C 0.676 0.656 -3.079 -0.22 -0.24 -0.49
C -0.426 -2.106 2.270 0.44 -0.43 1.22
H -0.852 1.092 -4.430 -0.95 -0.33 0.33
H -0.311 -2.656 -1.147 -0.35 0.41 2.01
H 0.307 1.005 2.738 0.20 -0.85 0.98
H 1.161 -1.702 0.903 -2.33 -0.23 0.19
H 0.427 3.123 0.542 1.16 -0.75 -1.07
H 1.455 0.642 -3.870 -0.46 0.25 0.99
H 1.723 -0.014 -1.285 0.86 0.50 0.35
H -0.904 -3.632 0.240 -0.21 -0.40 0.42
H -0.659 3.002 1.713 1.59 -1.51 0.09
H 0.982 3.171 2.234 0.07 -0.82 -0.84
H -1.676 -1.987 -0.104 0.28 -1.83 -0.57
H 1.427 0.703 1.408 3.11 -1.16 -0.45
```
Forces are in eV/Å.



What did the second record say?
ORCA calculation (ωB97M-V/def2-TZVPD) on C9H12NOPS in the gas phase at a distorted geometry.

For the LUMO energy, the calculation gives 0.471 eV. As for the net charge: 0. The value obtained for the calculated total energy is -33188.0600 eV. Its SMILES is CC[P@@](=O)(c1cccs1)[C@H](C)C#N. Its HOMO energy is -9.572 eV. The value obtained for the gap between HOMO and LUMO is 10.04 eV.

The geometry in XYZ format:
```
25
Properties=species:S:1:pos:R:3:forces:R:3
S -1.699 0.530 -2.040 1.07 0.50 -0.58
P -0.677 0.033 0.826 0.97 -0.53 -1.99
O -2.108 0.145 1.161 0.08 0.09 -0.11
N -0.685 -2.314 3.362 -0.37 -0.26 0.81
C -0.732 -2.622 -0.068 -0.76 2.03 -2.07
C -0.304 0.273 -0.998 -2.82 0.69 1.20
C 0.525 1.060 1.698 -3.06 2.24 -0.52
C -0.023 -1.746 0.971 2.76 1.05 -1.38
C 0.826 0.404 -1.690 1.57 -1.22 -0.60
C -0.641 0.779 -3.411 0.42 0.23 0.20
C 0.422 2.575 1.467 -3.06 2.56 1.87
C 0.676 0.656 -3.079 -0.22 -0.24 -0.49
+++
(Written answer)
ORCA calculation (ωB97M-V/def2-TZVPD) on a gas-phase ion, C9H12NO3S (charge +1) at a distorted geometry.